Monday, May 19, 2014

10 Truths for the Battle of the Mind

I set out to write down these things for myself. But then I realized that you're all in the battlefield with me, waring with thoughts and feelings of sorts. Life is a series of potholes and hills, making it crucial that we learn to walk on all types of terrain. The consequences for taking this lightly are at least pain and misery. These are things that address my most common struggles, and I bet some of yours as well.

1. You are loved by God no matter what. He has already proven this on the cross as well as all of the other unmerited favor He has shown in your life. Proverbs 8:17

2. You have never really been alone. When in doubt, look back at the times when you either survived something hard or were blessed abundantly. Nothing is by accident. If you will trust Him, you'll see that He takes even the bad and makes it work to your advantage through growth in character among other things. Isaiah 41:10

3. Your security can stand firm only in Him, not in people or things. Believers send a message about their faith when we base our worth on anything other than Jesus Christ. There is a commandment that addresses this -- it's idolatry. What we really believe comes out in what we consistently think. I not only say it, but I examine my own faith this way as well. He has to be the One we love most, thus putting His love for us above what others think. People change, feelings change, but God never does. Psalm 18:2

4. You cannot change others and it's not your job. Odds are, you didn't even create their issue. We all have some mess inside that needs Jesus' touch. Pray for them and remember that you commit some of the very sins as them.  This will help you to show them the grace you would want when you don't feel like it. Ezekiel 36:26-27

5. Guard your thoughts and heart from negative emotions in order to stay under the wings of God's mercy. Otherwise, you put yourself under the law of judgment because you can't ask for mercy you won't give. Let go of bitterness, jealousy, envy, strife, gossip and petty nitpicking. We are all broken, whether we see it or not, and can find things wrong with one another if we aren't practicing grace. Nitpicking puts the nitpicker under the microscope to those he nitpicks. Proverbs 4:23

6. Some things do not require a response, but even then you have to guard our tongue in every circumstance. Responding when it's not necessary is like pulling a scab off a big, ugly sore. Remember that there is a time to stand up and say your peace, but wisdom takes application. Your feedback is not always welcome or wise. Sometimes things will get better faster if you don't say a word. How often does your tongue cause damage, leaving you the bad guy and the point you were trying to make mere moot? I am struck by how often we do the things to others that have hurt us most. Proverbs 15:1, Proverbs 17:28

7. God will fight for you.  The more worked up you get, the more likely it is that you just need to let go of it and give it to God. He can bear it. He knows what's best and can fix anything. We just aren't meant to carry all this stuff. Learning to apply this produces greater faith because it puts your trust in God to work. Exodus 14:14

8. Focus on the Lord instead of others, yourself or the hurts you have been dealt. In order to be most effective for the kingdom, you must discipline your mind! I once read this statement: You must choose your thoughts like you choose your clothes. Focusing on God and His words produces healing. Focusing too much on people or our problems produces disappointment and even sickness. God has plenty of wonderful and mysterious attributes to keep you uplifted for eternity. Psalm 25:15

9. Feelings rarely ever provide an accurate assessment of reality. But if you pay close attention, you will find that they expose faulty thought patterns and even strongholds that need to be dealt with. Don't let them boss you around. Disciplining your mind will help to deal with bossy emotions. I am learning that so much of a believer's walk requires mental discipline as a prerequisite. Jeremiah 17:9, I John 3:20

10. You are gifted for a certain mission in the kingdom. But you must listen to the Holy Spirit to know what that is. It may take years to unfold as God prepares you for it. Stay tuned to to Him to find out more. Never think you are expected or able to do it alone. I Peter 4:10, I Timothy 4:14

Sunday, May 11, 2014

Annie Impson's Testimony

Today, I am sharing the testimony of a brave woman who was led to share her story with me and with you. I believe there is something in every story that encourages others to keep going as it reminds us that we can never go too far that God's loving redemption can't reach us. I hope Annie's story gives you hope. She reminds me that we are all gifted for a certain mission. If you have a story you wish to share, please contact me at I would love to hear from you.

The Personal Testimony of Annie Impson
I grew up in a preacher's home were the Bible was taught to us on a daily basis, and we went to church every time the doors were open. I made many professions of faith when I was a child, but it wasn’t until I was 18 a senior in high school on March 12,2001 that I truly accepted the Lord Jesus as my personally Savior!
After high school I went to a Christian college and that is where I met my first husband. My parents were not in agreement with me marrying him, but I thought I knew more than they did. They kept telling me it wasn’t God’s will for me to marry him. I didn’t want to listen. We married in the summer of 2003 without my parent’s blessing. I realize now this is never a way to start a marriage. Once we were married my parents encouraged us to stay married.
We got pregnant right way and had a little girl, Madelyn Grace, the following summer --June 2004. After we had Madelyn and been married for a couple of years some things were going on that were not right. We went to church only because I wanted to. He would only go because I wanted him to, not because it was right thing to do. I thought he was saved because of what he had told me. His actions spoke louder than his words. My husband thought it was okay to call me degrading names and to look at pornography. He tried to convince me that it was okay to look at it together. I never liked it but wanted to please my husband. But then he started looking at in secret. We would get into verbal fights about it, but it didn’t take long before he did hit me. I always said I would never let a man hit me, but it happened. He refused to give up looking at porn. I decided to leave because I wasn’t going to be in a mental and physical abusive marriage, or be in a marriage were looking at porn was okay. Looking at pornography is a form of adultery and it is wrong.
I moved back home and we were suppose to get counseling and try to work things out, but he refused to change and refused counseling. I filed for divorce. During that time I got away from the Lord, playing the prodigal child. It wasn't long before I found out I was pregnant. And I was scared because I already had one child, was working and living on my own, as well as going through a nasty custody battle and divorce. I wondered how I could I raise another child, especially without his father.
I confronted the father and he told me to get an abortion. I was 3 months pregnant before my I told my parents. They both just took me in their arms and held me and cried. Little did I know, they were praying and begging God to do something to wake me up and bring me back to Him because I wasn’t living right. I was hurting and doing everything I could to get rid of my hurt. I knew I needed to read my Bible and trust the Lord to handle it all, but I didn’t. I allowed Satan to wedge into my situations and work destruction. I thank God for a praying mom and dad, and that they didn't give up on me. I am very grateful for godly parents and for them being constant in their Christian lives.
I decided to leave the world alone and follow Christ. It wasn’t easy to do but with the Lord’s help on a daily basis, I stayed focused on getting my life on the right road again. About a month went by before I met Jason, a coworker at the time. Jason was also going through a divorce and custody battle of his own, and his wife had committed the adultery towards him and she would not turn from her ways either. He invited me over for supper to meet his girls. After supper we started talking and I told him I was pregnant. Even though the child wasn't his and we barely knew each other, he was excited. It was like I was telling him I was pregnant with his baby. I thought this man was crazy – mostly that he actually respected me. Very early into this relationship, I wanted him to meet my parents because I wanted this relationship to be parent approved.
After Jason spoke with my parents, they said I wasn’t in a place to be dating anyone but if they had to choose anyone for me to date, it would be Jason. They asked that we just remain friends and get to know each other first. During this friendship, we fell in love and he fell in love with my daughter and my unborn son. I had my baby in the spring of 2008.
Jason made a profession of faith earlier in life, much like I did. But two months before we were married, he realized he wasn't and accepted Jesus as Lord in his life. We were married in the fall of that same year. The first year was admittedly tough because we were combining two families, but with the Lords help we made it through it.
We both began serving in our church. I became the full time pianist and started singing in church again. Jason became a sound man, serving as the treasurer in our church. He also began preaching in a prison ministry on Tuesday nights. We sincerely wanted to be servants as it satisfied us. Jason also had mentioned the possibility of us as missionaries, but I was quick to say no because of hurts I had seen in the church. I didn't want my children exposed to them. So Jason stopped talking about it and started praying.
About a year later, we were invited to a prison revival in Mississippi. I was able to see what my husband really did every Tuesday night. I was also given the opportunity to sing my testimony song, “A Trophy of Grace.” I truly believe in the grace of God and what it has done for me.
I had never seen the Holy Spirit move like He did that day, as thirty souls or more came to Christ. I loved it! After the revival ended, I couldn’t sleep. The Lord was dealing very heavily with my heart about being a missionary and going and telling others about Him. After wrestling with it, I said, “ Lord I’m willing to go if that’s want you want me to do.” I slept well after that. On the way home the next day, I admitted to Jason that the Lord has called us to the mission field. Jason began crying with tears of joy because he already knew already it was God's will that we be missionaries. He didn’t want to go without me and was praying the Lord would change my heart --and He did. My next question was, “Where?” Australia was the answer.
We are still working in our church as we work towards the goal of Australia. I can’t wait to see what the Lord has for us over there. I’m honestly a little scared of the unknown but with the Lord’s help I know I can do anything. Philippians 4:13 says, “I can do all things through Christ who strengthens me.”
And Matthew 6:33 is our life verse: “But seek ye first the kingdom of God, and his righteousness; and all these things shall be added unto you.”
My personal life verse is Galatians 5:16 “This I say walk in the Spirit, and ye shall not fulfill the lust of the flesh.” I truly believe this to be true because I have to walk with Him daily so I don’t do what I want to do. I wholeheartedly want to be used of God and help others who are going through things I have been through. One of my greatest desires is to help others.

Sunday, May 4, 2014

Faith Opportunities

I had a rough day the day before and I did by best not to let it weigh on me as I sat in the shower with my mind toggling between praying and trying to figure it all out. I desperately wanted some direction since I hate not knowing what to do or expect. Like many of you, I struggle with things I do not understand. You see, I am one of those obsessive thinkers. My mind stops only when I give up trying to fix it myself and turn it over to Jesus to handle. But old habits only die through persistence with good ones. It hasn't become instinctive to give it straight to Him without trying to fix it in my head first.  

While I was still in the shower, my mental storm suddenly stopped and I felt the words, "Lean not on your own understanding" being spoken to me. It took a few seconds before I realized God was snapping me out of another one of my fix-it moments. I had been trying to understand something on my own that I had no line of sight into. I was about to pass up a chance trust my King. I had to make a choice. I could weigh myself down trying to figure out things or I could take this opportunity to grow in faith by trusting God with my problem. In that moment, I gave it to Him.

I knew the words spoken to me came from the Holy Spirit. They also are words found scripture. But I couldn't remember where, so I looked it up. Here's what scripture says: 
Trust in the Lord with all your heart and lean not on your own understanding; in all your ways submit to him, and he will make your paths straight. Proverbs 3:5-6
As I spoke that over and over in my mind, I headed for my morning coffee. I felt challenged to consider the words carefully. Here is what I came away with:

1. Trust in the Lord is where our faithful talk gets put into a faithful walk. We humans are so stubborn that we have the urge to feel our own way through when we can't see a thing. Sitting still doesn't come natural to many of us. But I have been feeling my way around for far too long. I've missed out on too many faith opportunities. I have more peace when I trust God with my junk. 

2. Lean not on your own understanding means stop trying to think you get it. Stop trying to figure stuff out on your own because all you'll come away with is what's on the surface. You won't be able to see deep into the hearts of others.  It's hard for us to accept that we can't see as well as we think we can.  But God knows the root of everything. He knows our hearts even when we do not. 

********
No. 1
Li9Mn2Co5O16: optimized geometry, PBE+U.

a = 5.814 Å, b = 5.867 Å, c = 10.070 Å
α = 73.08°, β = 74.16°, γ = 60.65°
Fractional coordinates of all 32 atoms:
Li1 0.507 0.997 0.498
O1 0.136 0.616 0.623
O2 0.618 0.133 0.632
Li2 0.495 0.506 0.005
O3 0.880 0.846 0.374
O4 0.632 0.601 0.624
O5 0.118 0.147 0.628
Co1 0.496 0.506 0.492
O6 0.135 0.113 0.110
Li3 0.256 0.752 0.249
O7 0.872 0.399 0.365
Li4 0.001 0.997 0.498
O8 0.383 0.377 0.384
Co2 0.742 0.253 0.748
O9 0.640 0.099 0.121
Li5 0.993 0.502 0.002
O10 0.097 0.656 0.124
Li6 0.252 0.246 0.253
O11 0.408 0.863 0.367
Co3 0.009 0.508 0.494
Li7 0.250 0.750 0.746
O12 0.852 0.901 0.886
Co4 0.248 0.252 0.750
O13 0.877 0.348 0.879
Mn1 0.000 0.998 0.004
Mn2 0.749 0.748 0.248
Li8 0.758 0.749 0.745
Li9 0.750 0.250 0.254
O14 0.352 0.888 0.891
O15 0.624 0.655 0.125
O16 0.376 0.346 0.876
Co5 0.494 0.999 0.003

ΔE_f, meV per atom: -1844
Distance to the lowest polymorph of the same formula, eV per atom: 0.0203
Space-group type: P1

No. 2
Ni2BiBP2O10: optimized geometry, PBE+U.

a = 5.111 Å, b = 6.401 Å, c = 11.359 Å
α = 90.00°, β = 90.00°, γ = 107.04°
Fractional coordinates of all 32 atoms:
O1 0.584 0.346 0.549
Bi1 0.750 0.059 0.250
P1 0.792 0.214 0.935
O2 0.126 0.374 0.250
O3 0.355 0.008 0.375
P2 0.792 0.214 0.565
O4 0.416 0.654 0.049
P3 0.208 0.786 0.065
O5 0.969 0.655 0.145
Bi2 0.250 0.941 0.750
O6 0.070 0.819 0.551
O7 0.930 0.181 0.051
Ni1 0.651 0.665 0.895
O8 0.645 0.992 0.875
O9 0.347 0.633 0.750
O10 0.416 0.654 0.451
O11 0.584 0.346 0.951
P4 0.208 0.786 0.435
O12 0.070 0.819 0.949
O13 0.874 0.626 0.750
Ni2 0.350 0.335 0.106
O14 0.031 0.345 0.855
O15 0.031 0.345 0.645
O16 0.645 0.992 0.625
O17 0.969 0.655 0.355
B1 0.060 0.487 0.750
O18 0.355 0.008 0.125
B2 0.940 0.513 0.250
O19 0.653 0.367 0.250
Ni3 0.650 0.665 0.606
O20 0.930 0.181 0.449
Ni4 0.349 0.335 0.395

ΔE_f, meV per atom: -2278
Space-group type: P2_1/m

No. 3
SrV2TeO8: optimized geometry, PBE+U.

a = 10.338 Å, b = 11.323 Å, c = 14.162 Å
α = 84.01°, β = 70.67°, γ = 72.60°
Fractional coordinates of all 96 atoms:
O1 0.788 0.867 0.111
Sr1 0.066 0.827 0.066
O2 0.578 0.598 0.407
O3 0.480 0.951 0.868
O4 0.698 0.772 0.831
O5 0.428 0.191 0.432
O6 0.202 0.138 0.395
V1 0.074 0.825 0.818
O7 0.458 0.736 0.785
O8 0.920 0.852 0.262
O9 0.198 0.831 0.214
O10 0.798 0.862 0.605
O11 0.413 0.394 0.068
O12 0.422 0.402 0.593
O13 0.041 0.939 0.898
O14 0.636 0.497 0.185
V2 0.346 0.082 0.940
V3 0.169 0.526 0.380
V4 0.831 0.474 0.620
O15 0.430 0.189 0.934
O16 0.045 0.453 0.391
O17 0.726 0.964 0.930
O18 0.033 0.946 0.396
O19 0.428 0.745 0.285
O20 0.080 0.148 0.738
V5 0.941 0.168 0.682
Sr2 0.572 0.351 0.872
O21 0.202 0.620 0.102
V6 0.493 0.767 0.884
Te1 0.786 0.547 0.382
Te2 0.205 0.455 0.125
O22 0.967 0.054 0.604
O23 0.339 0.781 0.485
O24 0.172 0.438 0.997
O25 0.955 0.547 0.609
O26 0.710 0.497 0.736
Sr3 0.557 0.358 0.366
O27 0.082 0.693 0.397
Te3 0.795 0.545 0.875
O28 0.467 0.952 0.366
O29 0.520 0.049 0.132
O30 0.302 0.228 0.169
O31 0.718 0.962 0.429
V7 0.654 0.918 0.060
********

3. In all your ways, submit to Him means that we have to yield. We have to let Him go ahead of us and wait for Him to walk at His own pace. He will fight our battles. He already knows everything, He doesn't have to think about it to figure it out. He promises to take care of us, but a lack of belief is what keeps us from being hands-off. We have to quit being in such a hurry to get past every hurdle and learn to wait with full trust that we serve a faithful God. 

4. He will make your paths straight means He will provide direction. Direction is what we all want, right? I think most of us feel like we have no idea what we're doing in some area of our life. But here's the kicker - true direction comes when we trust Him and not our own selves. We don't get direction from trying to fix everything. It comes with submission to let Him lead, willingness to wait on Him and trust that He is working things out for our own good even when we can't see anything happening. We are never more blind than in our "I'll fix it myself" moments.

Here's another thing that happened to me on this day. I had bought a new coffee mug less than 48 hours ago that read: Trust in the Lord. I didn't put two and two together right away.  But my eyes met my cup as I was pondering the scripture and I realized God was at work on this matter long before it even happened. He knew what I would need long beforehand. It's no coincidence that the words come from the same verse He spoke to me during my struggle. 

God cares about our details. His word says He is at work to make all things work for us and not against us. I challenge you to practice trusting Him in your hardest moments. You'll never be more blessed. My own hardest moments have crucial in learning just how much He cares.